The Sharia Economic Training activity is one of the work programs held by the Department of Human Resources at KSEI Jazirah Polines for new students at the Semarang State Polytechnic, especially for the Sharia Banking study program. This activity is in the form of providing material on Islamic economics and the formation of a Forum Group Discussion (FGD) to help new students be critical in addressing issues regarding current Islamic economics. This activity is carried out online through a face-to-face application, namely Zoom Meet.
All Polines students can take part in this activity, but it is highly prioritized for new students in 2020 and also prospective members of the management of the KSEI Jazirah Polines in the future. Considering the main purpose of the Sharia Economic Training activity is to provide knowledge about Islamic economics and provide knowledge about the importance of leadership traits in organizing to new Polines students in 2020. There were 98 participants in this activity. Most of the students participated in level I. Registration for this activity was done through an online registration form in the form of a google form which was distributed by the committee through social media.
The Sharia Economic Training activity was held for two days, namely on 7-8 November 2020. The first day was filled with Islamic economics material which was guided by presenters who were quite knowledgeable about the material. Then, on the second day it was filled with Forum Group Discussion (FGD), which is a discussion forum in which each participant has been divided and formed according to their respective groups. This forum is accompanied by LO if there are obstacles in conveying opinions on case studies given by the committee to activity participants.
Next to the entry, the page also holds materials data >
~~~
Compound: PmHfCr2O6
Source: the Alexandria database
Functional: PBE+U
Structure: optimized geometry

Output
For the total energy, the calculation gives -8.636 eV per atom.

Cell lengths 5.3685, 5.4626, 5.7086 Å; angles 63.45, 89.94, 60.95 degrees
With the nearest neighbours (Å) after each atom.
Space group P1 (No. 1)
Asymmetric unit:
Pm 0.0000 0.0000 0.0000 [1 per cell]  5 O 2.27-2.47
Hf 0.5272 0.9547 0.5553 [1 per cell]  6 O 2.04-2.19
Cr 0.2237 0.5587 0.6415 [1 per cell]  6 O 1.99-2.08
Cr 0.7294 0.5366 0.1750 [1 per cell]  4 O 2.08-2.19
O 0.1538 0.0124 0.3889 [1 per cell]  1 Hf 2.04, 1 Cr 2.07
O 0.3499 0.0932 0.8377 [1 per cell]  1 Cr 1.99, 1 Hf 2.11
O 0.4525 0.4182 0.3859 [1 per cell]  2 Cr 2.08, 1 Hf 2.08
O 0.5709 0.4989 0.8558 [1 per cell]  2 Cr 2.03-2.14, 1 Hf 2.19
O 0.8340 0.7300 0.3795 [1 per cell]  2 Cr 2.08-2.12, 1 Hf 2.09
O 0.9365 0.6985 0.8585 [1 per cell]  2 Cr 2.05-2.19, 1 Hf 2.15, 1 Pm 2.28

* * * * *

Record 1
This record from Alexandria describes crystalline Dy2CdGa at its relaxed geometry. The functional is PBE.

Structure (CIF):
```
data_Dy2CdGa
_cell_length_a 3.624
_cell_length_b 3.624
_cell_length_c 7.441
_cell_angle_alpha 90.00
_cell_angle_beta 90.00
_cell_angle_gamma 90.00
_space_group_name_H-M_alt 'P 4/m m m'
_space_group_IT_number 123
_space_group_name_Hall '-P 4 2'
loop_
_atom_site_label
_atom_site_fract_x
_atom_site_fract_y
_atom_site_fract_z
Dy1 0.000 0.000 0.234
Cd1 0.500 0.500 0.500
Ga1 0.500 0.500 0.000
```

Calculated values
formation energy	-44.3	kJ per mole of atoms
V	98	Å³/cell
theoretical density	8.62	g/cm³
density of states at the Fermi level	2.41	states/eV/f.u.

***

Record 2
This record from Alexandria describes crystalline AlP4 at its relaxed geometry. The functional is PBE.

Structure (CIF):
```
data_AlP4
_cell_length_a 7.957
_cell_length_b 7.957
_cell_length_c 3.221
_cell_angle_alpha 90.00
_cell_angle_beta 90.00
_cell_angle_gamma 90.00
_space_group_name_H-M_alt 'I 4/m'
_space_group_IT_number 87
_space_group_name_Hall '-I 4'
loop_
_atom_site_label
_atom_site_fract_x
_atom_site_fract_y
_atom_site_fract_z
Al1 0.000 0.000 0.000
P1 0.161 0.728 0.000
```

Calculated values
formation energy	13.0	kJ per mole of atoms
V	204	Å³/cell
theoretical density	2.46	g/cm³
density of states at the Fermi level	1.96	states/eV/f.u.
~~~
In the implementation of the Sharia Economics Training, the participants were accompanied by two speakers and one LO for each FGD group that was formed. During the event, participants were given time to ask questions and express their opinions on the first day, namely in the material presentation session and participants also participated in taking part in the activities of the first day of SET in an orderly manner. On the second day of the event, namely the FGD event held via google meet, participants were able to give each other arguments regarding the case studies given by the committee to the participants of this SET activity. However, there were several obstacles experienced during the event. The obstacle is in the form of a signal or internet network which is quite disturbing the course of the event, whether it is an obstacle by the participants or the committee. In addition, problems also occurred on the second day of the FGD event. Some participants were forcibly unable to take part in all of the discussion sessions on November 8, 2020 due to another activity that coincided with the FGD activities, so not all participants took part in this discussion forum.
At the end of the SET event, participants were given the opportunity to express their opinions and conclusions regarding the case studies that were discussed on the second day of the event. Not only that, participants can also submit criticisms and suggestions on this activity. At the end of the SET event, which is the FGD, participants will be invited to take a group photo via google meet as documentation of the participation of participants who are actively involved in Sharia Ekonomi Training activities.